Park Talk: hold back the river
23rd November 2023

By Cllr Chirs Beattie, Cairngorms National Park Authority Board member
I am starting to lose count of how many named storms we have had already this season, each one bringing wind, rain and varying degrees of destruction depending on where you are in the country.
These crystal structures were left in the entry by mistake:
/*
DFT (PBE) results for a relaxed SrZn2As2O8 crystal.

Cell lengths 8.7440, 9.9081, 9.4406 Å; angles 90.00, 91.82, 90.00 degrees
With the nearest neighbours (Å) after each atom.
Positions (direct):
Sr  0.2500  0.0832  0.1151  7 O 2.58-2.79
Sr  0.2500  0.4168  0.6151  7 O 2.58-2.79
Sr  0.7500  0.5832  0.3849  7 O 2.58-2.79
Sr  0.7500  0.9168  0.8849  7 O 2.58-2.79
Zn  0.0776  0.6861  0.0496  4 O 1.94-2.00
Zn  0.0776  0.8139  0.5496  4 O 1.94-2.00
Zn  0.4260  0.0736  0.7207  4 O 1.96-2.02
Zn  0.4260  0.4264  0.2207  4 O 1.96-2.02
Zn  0.5740  0.5736  0.7793  4 O 1.96-2.02
Zn  0.5740  0.9264  0.2793  4 O 1.96-2.02
Zn  0.9224  0.1861  0.4504  4 O 1.94-2.00
Zn  0.9224  0.3139  0.9504  4 O 1.94-2.00
As  0.0584  0.0835  0.7496  4 O 1.72-1.73
As  0.0584  0.4165  0.2496  4 O 1.72-1.73
As  0.4508  0.7041  0.0629  4 O 1.71-1.73
As  0.4508  0.7959  0.5629  4 O 1.71-1.73
As  0.5492  0.2041  0.4371  4 O 1.71-1.73
As  0.5492  0.2959  0.9371  4 O 1.71-1.73
As  0.9416  0.5835  0.7504  4 O 1.72-1.73
As  0.9416  0.9165  0.2504  4 O 1.72-1.73
O  0.0203  0.0651  0.3124  1 As 1.72
O  0.0203  0.4349  0.8124  1 As 1.72
O  0.0646  0.6248  0.6173  1 As 1.73
O  0.0646  0.8752  0.1173  1 As 1.73
O  0.0688  0.2016  0.6170  1 As 1.72
O  0.0688  0.2984  0.1170  1 As 1.72
O  0.2367  0.0691  0.8326  1 As 1.73
O  0.2367  0.4309  0.3326  1 As 1.73
O  0.2834  0.6332  0.0008  1 As 1.71
O  0.2834  0.8668  0.5008  1 As 1.71
O  0.4157  0.2070  0.5679  1 As 1.73
O  0.4157  0.2930  0.0679  1 As 1.73
O  0.4303  0.6315  0.6196  1 As 1.73
O  0.4303  0.8685  0.1196  1 As 1.73
O  0.4742  0.1028  0.3024  1 As 1.73
O  0.4742  0.3972  0.8024  1 As 1.73
O  0.5258  0.6028  0.1976  1 As 1.73
O  0.5258  0.8972  0.6976  1 As 1.73
O  0.5697  0.1315  0.8804  1 As 1.73
O  0.5697  0.3685  0.3804  1 As 1.73
O  0.5843  0.7070  0.9321  1 As 1.73
O  0.5843  0.7930  0.4321  1 As 1.73
O  0.7166  0.1332  0.4992  1 As 1.71
O  0.7166  0.3668  0.9992  1 As 1.71
O  0.7633  0.5691  0.6674  1 As 1.73
O  0.7633  0.9309  0.1674  1 As 1.73
O  0.9312  0.7016  0.8830  1 As 1.72
O  0.9312  0.7984  0.3830  1 As 1.72
O  0.9354  0.1248  0.8827  1 As 1.73
O  0.9354  0.3752  0.3827  1 As 1.73
O  0.9797  0.5651  0.1876  1 As 1.72
O  0.9797  0.9349  0.6876  1 As 1.72

Values from the calculation:
**Density**: 4.03 g/cm3
**Energy of formation**: -27.7 eV/f.u.

~~~~~

DFT (GGA-PBE) results for a relaxed AgB5H6N2Cl5 crystal.

Calculated values
Its formation energy from the elements is -0.690 eV per atom. The symmetry is Pbcn. Its crystal system is orthorhombic.

Lattice parameters (Å, degrees): 15.085 12.532 14.014 90.00 90.00 90.00
Element x y z (fractional)
Ag 0.206 0.102 0.063
Ag 0.206 0.898 0.563
Ag 0.294 0.398 0.563
Ag 0.294 0.602 0.063
Ag 0.706 0.398 0.937
Ag 0.706 0.602 0.437
Ag 0.794 0.102 0.437
Ag 0.794 0.898 0.937
B 0.016 0.297 0.850
B 0.016 0.703 0.350
B 0.034 0.162 0.803
B 0.034 0.838 0.303
B 0.059 0.355 0.738
B 0.059 0.645 0.238
B 0.078 0.219 0.692
B 0.078 0.781 0.192
B 0.113 0.259 0.800
B 0.113 0.741 0.300
*/
So much for the crystal structures:
As well as a member of the Cairngorms National Park Authority board, I am also a member of Angus Council – an area which received more than its fair share of Babet! It’s a storm that will live long in the memory of our residents over here in the east. The widespread flooding damaged homes and infrastructure across the whole of Angus from the glens to the coast. It has been a very traumatic experience for many and the clean up bill following Storm Babet will be significant.
While not hit to the same degree, I saw images of a flooded River Spey, looking like a massive loch, swallowing up farmland to the dismay of the agricultural community as well as damaging roads, to the dismay of The Highland Council and drivers!
~~~
! LiMgAsO4 | Materials Project | PBE | optimized geometry; values from VASP
&SYSTEM
  ibrav = 0, nat = 28, ntyp = 4
/
ATOMIC_SPECIES
O 16.00 O.upf
As 74.92 As.upf
Mg 24.30 Mg.upf
Li 6.94 Li.upf
ATOMIC_POSITIONS angstrom
O 2.8693 -1.7077 -3.4214
O 2.6327 -3.9380 -5.2878
As 3.0997 -8.0027 -2.8031
Mg 0.5904 -3.4980 -1.2841
Mg 1.5047 -9.1132 -0.0866
O 1.0180 -3.3926 0.8942
O 2.8054 -6.3484 -3.1786
O 5.4212 -10.1468 -0.5477
As 3.9885 -8.8403 2.1601
Li 0.8783 -5.6536 1.1673
Li 0.0000 0.0000 0.0000
As 1.8398 -2.7565 -4.2918
O 3.0229 -5.2485 1.0468
O 0.8490 -3.8111 -3.3312
O 4.8103 -8.2042 -3.0260
O 2.9590 -9.8892 1.2896
O 0.4071 -1.4501 -1.5841
O 3.1956 -7.6589 3.1560
Mg 5.2379 -8.0989 -0.8476
As 2.7286 -3.5942 0.6713
O 5.0363 -5.9853 -1.1685
O 3.0267 -8.0774 -1.0694
Li 2.9142 -5.7984 -1.0659
O 0.7920 -5.6116 -0.9633
Li 2.0358 -0.1448 -2.2332
Mg 4.3237 -2.4836 -2.0452
O 4.9793 -7.7857 1.1994
O 2.8017 -3.5195 -1.0624
CELL_PARAMETERS angstrom
-2.9302 -3.1289 -2.4683
4.0717 -0.2897 -4.4665
4.6869 -8.1784 4.8030
! ΔE_f: -2.38 eV/atom
! total magnetic moment: 0.0 μB/f.u.

! CeSe2 | Materials Project | PBE | optimized geometry; values from VASP
&SYSTEM
  ibrav = 0, nat = 12, ntyp = 2
/
ATOMIC_SPECIES
Ce 140.12 Ce.upf
Se 78.96 Se.upf
ATOMIC_POSITIONS angstrom
Ce 3.8257 0.1656 0.0000
Se 10.3193 1.9145 0.0000
Ce 0.1655 8.5915 0.0000
Se 1.8448 6.1236 0.0000
Se -0.0850 4.3638 2.8538
Se 6.2936 1.8448 0.0000
Ce 2.3829 6.0430 2.8538
Se 4.2941 4.1108 2.8538
Se -4.1107 4.2941 2.8538
Ce 6.0430 -2.3829 2.8538
Se 1.9145 2.0978 0.0000
Se 4.3638 0.0850 2.8538
CELL_PARAMETERS angstrom
-6.2086 6.2086 2.8538
6.2086 -6.2086 2.8538
6.2086 6.2086 -2.8538
! ΔE_f: -1.73 eV/atom
! total magnetic moment: 0.0 μB/f.u.

! CeAgAs2 | Materials Project | PBE | optimized geometry; values from VASP
&SYSTEM
  ibrav = 0, nat = 8, ntyp = 3
/
ATOMIC_SPECIES
Ag 107.87 Ag.upf
As 74.92 As.upf
Ce 140.12 Ce.upf
ATOMIC_POSITIONS angstrom
Ag 2.0510 2.0510 5.0965
As 2.0510 2.0510 0.0000
As 0.0000 0.0000 0.0000
Ce 2.0510 0.0000 7.9384
As 0.0000 2.0510 7.0179
As 2.0510 0.0000 3.1752
Ce 0.0000 2.0510 2.2546
Ag 0.0000 0.0000 5.0965
CELL_PARAMETERS angstrom
4.1020 0.0000 0.0000
0.0000 4.1020 0.0000
0.0000 0.0000 10.1931
! ΔE_f: -0.79 eV/atom

! BaMg6Mo | Materials Project | PBE | optimized geometry; values from VASP
&SYSTEM
  ibrav = 0, nat = 16, ntyp = 3
/
ATOMIC_SPECIES
Mg 24.30 Mg.upf
Mo 95.94 Mo.upf
Ba 137.33 Ba.upf
ATOMIC_POSITIONS angstrom
Mg -8.4239 -6.3150 5.7892
Mg -4.8822 0.6589 -0.5217
Mg -3.8448 -5.1891 2.4847
Mo -2.7638 -5.0923 5.3863
Mg -2.0230 -0.2754 0.0620
Mg -3.2579 -2.4941 4.0493
Mg -6.5454 -7.0513 3.3257
Mg -0.7720 -0.4277 3.0965
Mg -1.3794 -3.2304 1.5858
Mg -6.6470 -1.3867 3.3574
Mg -5.9380 -4.2486 4.8364
Ba -3.4225 -8.0153 3.9346
Mg -7.1891 -4.0963 1.8019
Ba -4.4600 -2.1673 0.9282
Mo -3.8012 0.7557 2.3799
Mg -5.6095 -7.2347 6.3638
CELL_PARAMETERS angstrom
-0.1775 2.3447 4.6221
-6.2035 2.0271 -1.2666
-4.1286 -9.6689 4.7464
! ΔE_f: 0.40 eV/atom
~~~
The most recent gathering of the Park Authority board was held in the Angus Glens, although scheduled in the diaries for some time, it turned out to be very timely, following on from Storm Babet. We talked about some of the damage caused by flooding in communities like Brechin, but more importantly, some of the practical actions that can happen high in the river catchments, that can help alleviate flood events further downstream.
(What comes next are crystal structures, not part of the text)
/*
[1]
Computed, not measured: a geometry-optimized Rb2WO2F4 structure at the PBE with a Hubbard U level of DFT. Values from VASP.

Results
Crystal system ... monoclinic
Magnetic moment ... 0.00 μB/atom
Mass density ... 4.71 Mg/m³
Calculated volume ... 18.11 Å³/atom
Formation enthalpy at 0 K ... -2.6816 eV per atom

Cell and atoms, written as Quantum ESPRESSO input:
```
&SYSTEM
  ibrav = 0, nat = 9, ntyp = 4
/
ATOMIC_SPECIES
Rb 85.47 Rb.upf
F 19.00 F.upf
O 16.00 O.upf
W 183.84 W.upf
ATOMIC_POSITIONS angstrom
Rb -3.870 -6.948 -1.170
Rb -1.906 -3.329 -0.654
F -4.785 -4.057 -1.568
F -3.674 -4.975 1.222
F -0.991 -6.220 -0.256
F -2.103 -5.303 -3.046
O -5.180 -6.580 -3.858
O -0.596 -3.698 2.034
W 0.000 0.000 0.000
CELL_PARAMETERS angstrom
-5.567 -2.263 -1.330
-0.586 -4.575 -4.075
0.377 -3.439 3.582
```

[2]
Computed, not measured: a geometry-optimized PrMn4Cu3O12 structure at the PBE with a Hubbard U level of DFT. Values from VASP.

Results
Crystal system ... cubic
Magnetic moment ... 0.80 μB/atom
Mass density ... 5.94 Mg/m³
Calculated volume ... 10.40 Å³/atom
Formation enthalpy at 0 K ... -1.8392 eV per atom

Cell and atoms, written as Quantum ESPRESSO input:
```
&SYSTEM
  ibrav = 0, nat = 20, ntyp = 4
/
ATOMIC_SPECIES
O 16.00 O.upf
Cu 63.55 Cu.upf
Mn 54.94 Mn.upf
Pr 140.91 Pr.upf
ATOMIC_POSITIONS angstrom
O 5.174 0.000 1.277
O 2.456 -1.442 3.732
O 1.277 2.291 0.000
O 1.277 5.174 0.000
O 2.456 1.442 3.732
O 3.732 2.456 -1.442
O 0.000 1.277 5.174
O 3.732 2.456 1.442
O -1.442 3.732 2.456
O 2.291 0.000 1.277
O 1.442 3.732 2.456
O 0.000 1.277 2.291
Cu 0.000 0.000 3.732
Cu 0.000 3.732 0.000
Cu 3.732 0.000 0.000
Mn 1.866 1.866 1.866
Mn 1.866 -1.866 1.866
Mn -1.866 1.866 1.866
Mn 1.866 1.866 -1.866
Pr 0.000 0.000 0.000
CELL_PARAMETERS angstrom
-3.732 3.732 3.732
3.732 -3.732 3.732
3.732 3.732 -3.732
```

[3]
Computed, not measured: a geometry-optimized Li9Mn2Co5O16 structure at the PBE with a Hubbard U level of DFT. Values from VASP.

Results
Crystal system ... monoclinic
Energy above the lowest structure with this stoichiometry ... 43.6 meV per atom
Magnetic moment ... 0.25 μB/atom
Mass density ... 4.18 Mg/m³
Calculated volume ... 8.98 Å³/atom
Formation enthalpy at 0 K ... -1.8205 eV per atom

Cell and atoms, written as Quantum ESPRESSO input:
```
&SYSTEM
  ibrav = 0, nat = 32, ntyp = 4
/
ATOMIC_SPECIES
Li 6.94 Li.upf
Co 58.93 Co.upf
O 16.00 O.upf
Mn 54.94 Mn.upf
ATOMIC_POSITIONS angstrom
Li 2.871 12.020 2.354
Li 1.436 2.644 1.123
Li 2.871 4.775 1.982
Li 1.436 7.042 2.851
Li 2.871 2.379 3.614
Li 2.871 16.740 4.329
Li 1.436 11.873 4.926
Li 1.436 16.880 1.755
Li 2.871 7.246 0.342
Co 1.436 14.434 3.348
Co 2.871 9.512 3.931
Co 2.871 14.576 0.781
Co 1.436 9.649 1.368
Co 1.436 -0.128 2.585
O 2.871 10.841 0.603
O 2.871 13.277 4.125
O 1.436 10.701 3.162
O 2.871 5.716 3.808
O 1.436 13.425 1.558
O 1.436 8.367 4.699
O 1.436 3.541 2.927
O 2.871 18.346 0.859
O 1.436 5.942 0.998
O 2.871 8.482 2.143
O 1.436 15.482 5.148
O 2.871 15.646 2.578
O 1.436 0.839 4.511
*/
(The crystal structures stop here)
Let’s face it – it’s Autumn in Scotland – the weather is supposed to be wet and windy and it is not in our gift to stop the rain falling from the sky but we can try to lessen the impacts of storm events when they happen. And they are happening more frequently as our climate changes.
However, in partnership with land managers and other partners we can make a difference.
The Park Authority is already working with many land owners and managers to mitigate the impacts of climate change, with peatland restoration happening at scale and pace high up on the hills, along with river restoration and woodland expansion projects bringing direct benefits to people and biodiversity. This type of activity helps to slow the flow, holding as much water back as possible at critical times.
As the impacts of climate change result in more severe weather and increased flood events, we must look to how we adapt and how we continue to deliver nature based solutions.
We know that a multi partnership approach is needed to tackle the issue of flooding and while flood defences in towns and villages at risk are crucial, by restoring river catchments and therefore slowing the flow of water, this will bring benefits downstream and be part of a wider solution.
What happens in the National Park has implications for towns and villages out with the Park, especially those communities living alongside the National Park’s major rivers like the Dee, the Don, the Spey and the South and North Esks. I realise that nature based solutions will take time to take effect and will not on their own prevent flooding but I hope that these solutions mean the impacts of future storms can be tamed a little.